
Tribe closes beach access in hopes of higher ground

Associated Press Writer

The small Quileute Indian Reservation sits on a shoreline of storm-tossed driftwood and pebble beaches, with dramatic views of rock formations rising out of the Pacific Ocean.

But the same ocean that crashes daily on these beaches could roll ashore and sweep away the tribe’s lower village in a tsunami. That fear is stoking the fire under a long-simmering boundary battle between the Quileute Tribe and the National Park Service. The tribe has closed public access to one beach, and threatens to close another if they don’t get additional land on higher ground.

The tribe has offered a land swap -- it will hand over eight acres of disputed land at Rialto Beach and reopen access to Second Beach if the Park Service cedes -- or buys for the tribe -- enough land to more than double the size of the reservation.


“We don’t have anything against the public,” said James Jaime, the tribe’s executive director. “It was the only way to get the federal government’s attention.”

The reservation is bounded on one side by the ocean and three sides by Olympic National Park. The tribe wants to move its school, senior center, tribal offices and some housing to higher ground as well as expand its reservation to build more housing developments.

(Attached: records of crystals)
-- begin --
The following is a theoretical powder diffraction line list of BeTeAu2. It was derived from a structure optimized by DFT (PBE), using Cu Kα.
Neutral-atom scattering factors, no anomalous dispersion.

Main lines, in order of rising 2θ (10 to 80 degrees two-theta):
d 3.329, I = 34; d 3.158, I = 48; d 2.671, I = 100; d 2.424, I = 74; d 2.000, I = 16; d 1.958, I = 61; d 1.926, I = 18; d 1.579, I = 21; d 1.523, I = 18; d 1.374, I = 25

Crystal structure
```
BeTeAu2
1.0
3.392 -1.958 0.000
3.392 1.958 0.000
-2.275 0.000 5.778
Be Te Au
1 1 2
Cartesian
0.000 0.000 0.000
2.254 0.000 2.889
-0.012 0.000 4.822
4.521 0.000 0.956
```

~~~~~

[1]
This entry pairs a crystal structure of La2TmNi with its theoretical PXRD pattern. Radiation: copper Kα. Structure: a structure optimized by DFT (PBE).

Largest 8 diffraction maxima, low angle first, 10° ≤ 2θ ≤ 90°:
two_theta  I_rel
29.8  1000
30.3  518
30.6  304
30.9  482
31.9  615
32.5  355
34.0  534
54.1  372

Cell and atoms:
Lattice parameters (Å, degrees): 7.0278 10.1561 6.4141 90.00 90.00 90.00
Element x y z (fractional)
La1 0.1759 0.0683 0.1766
La2 0.1759 0.4317 0.1766
La3 0.3241 0.5683 0.6766
La4 0.3241 0.9317 0.6766
La5 0.6759 0.0683 0.3234
La6 0.6759 0.4317 0.3234
La7 0.8241 0.5683 0.8234
La8 0.8241 0.9317 0.8234
Tm1 0.0395 0.2500 0.6630
Tm2 0.4605 0.7500 0.1630
Tm3 0.5395 0.2500 0.8370
Tm4 0.9605 0.7500 0.3370
Ni1 0.1186 0.7500 0.9453
Ni2 0.3814 0.2500 0.4453
Ni3 0.6186 0.7500 0.5547
Ni4 0.8814 0.2500 0.0547

***

[2]
This entry pairs a crystal structure of NaSb with its theoretical PXRD pattern. Radiation: copper Kα. Structure: a structure optimized by DFT (PBE).

Largest 8 diffraction maxima, low angle first, 10° ≤ 2θ ≤ 90°:
two_theta  I_rel
15.9  410
19.0  620
21.1  1000
24.1  387
28.4  521
29.5  595
37.0  387
40.0  598

Cell and atoms:
Lattice parameters (Å, degrees): 6.8275 6.4091 12.5806 90.00 117.44 90.00
Element x y z (fractional)
Na1 0.2299 0.0994 0.3264
Na2 0.2299 0.4006 0.8264
Na3 0.2331 0.6629 0.5410
Na4 0.2331 0.8371 0.0410
Na5 0.7669 0.1629 0.9590
Na6 0.7669 0.3371 0.4590
Na7 0.7701 0.5994 0.1736
Na8 0.7701 0.9006 0.6736
Sb1 0.2897 0.1611 0.6039
Sb2 0.2897 0.3389 0.1039
Sb3 0.3071 0.5964 0.2972
Sb4 0.3071 0.9036 0.7972
Sb5 0.6929 0.0964 0.2028
Sb6 0.6929 0.4036 0.7028
Sb7 0.7103 0.6611 0.8961
Sb8 0.7103 0.8389 0.3961

***

[3]
This entry pairs a crystal structure of Na5B7C3 with its theoretical PXRD pattern. Radiation: copper Kα. Structure: a structure optimized by DFT (PBE).

Largest 8 diffraction maxima, low angle first, 10° ≤ 2θ ≤ 90°:
two_theta  I_rel
34.9  115
36.2  170
41.0  494
42.1  1000
42.2  378
63.5  171
77.1  126
79.2  164

Cell and atoms:
Lattice parameters (Å, degrees): 11.6149 11.6149 9.9881 106.94 106.94 14.00
Element x y z (fractional)
Na1 0.0000 0.0000 0.0000
Na2 0.1011 0.1011 0.6979
Na3 0.2009 0.2009 0.4010
Na4 0.3011 0.3011 0.1002
Na5 0.3997 0.3997 0.7973
Na6 0.5001 0.5001 0.4968
Na7 0.5998 0.5998 0.2047
Na8 0.7031 0.7031 0.8975
Na9 0.7999 0.7999 0.6002
-- stop --
(Here the article continues)

Of the more than 700 members of the tribe, 350 live on the reservation -- 250 in the flood zone.


“Our primary concern is the health, safety and welfare of not only the tribal members, but the entire community,” said Jaime, noting that during the summer, thousands of tourists flock to the area.

Tribal leaders originally sought 1,200 acres, but are now asking for about 800 acres to add to their one-square-mile reservation -- 309 acres of parklands, and another 480 acres of private land that it wants the National Park Service to purchase for them.

The Quileute reservation was established in 1889 at the mouth of the Quillayute River; Olympic National Park has bordered the reservation since 1953. The tribe and the park have been debating the boundary at Rialto Beach for decades. The tribe argues that it owns most of Rialto Beach, but the park has built a parking lot and a restroom at the edge of the beach, and both sides are disputing eight acres of land there.


The dispute came to a head last year after a tribal member was cited for collecting firewood near the disputed boundary. Though charges were ultimately dropped, Jaime said that the tribe needed to take action.

To get the government’s attention, the tribe closed off access to one of the most admired sections of Washington state’s Pacific shore, Second Beach, in October 2005. The beach is public, but the parking lot and access to the trail to the beach is on tribal ground.

“This was the one that actually brought them to the table so we could start some serious negotiations,” Jaime said.

The park service has offered 274 acres of parkland -- a deal that officials say the tribe should take.

Olympic National Park Supt. Bill Laitner said that the park wanted to make sure the tribe could move people out of the tsunami zone.

“We feel that is of utmost importance,” he said. “We believe we can do that. We don’t believe we can solve all of the tribes’ problems for all time.”


After several meetings, the two sides remain at an impasse, and the tribe said that it was ready to raise the ante.

Unrelated to this entry: data records >
Entry 1:
For PrGa4B3O12, a PBE-relaxed structure gives the theoretical powder XRD pattern in this record (Cu Ka).

Crystal structure
```
data_PrGa4B3O12
_cell_length_a 7.136
_cell_length_b 7.136
_cell_length_c 7.136
_cell_angle_alpha 90.00
_cell_angle_beta 90.00
_cell_angle_gamma 90.00
_space_group_name_H-M_alt 'I m -3'
_space_group_IT_number 204
_space_group_name_Hall '-I 2 2 3'
loop_
_atom_site_label
_atom_site_type_symbol
_atom_site_fract_x
_atom_site_fract_y
_atom_site_fract_z
Pr1 Pr 0.000 0.000 0.000
Ga1 Ga 0.250 0.250 0.250
B1 B 0.000 0.000 0.500
O1 O 0.000 0.335 0.156
```

The 8 most intense peaks (10° ≤ 2θ ≤ 80°), by angle:
2θ 17.6, 5.046 Å, I = 44; 2θ 30.7, 2.913 Å, I = 20; 2θ 35.6, 2.523 Å, I = 100; 2θ 40.0, 2.257 Å, I = 32; 2θ 47.7, 1.907 Å, I = 30; 2θ 51.2, 1.784 Å, I = 20; 2θ 63.9, 1.457 Å, I = 50; 2θ 66.8, 1.400 Å, I = 13

Entry 2:
For CeSmY2Tm, a PBE-relaxed structure gives the theoretical powder XRD pattern in this record (Cu Ka).

Crystal structure
```
data_CeSmY2Tm
_cell_length_a 5.841
_cell_length_b 7.678
_cell_length_c 7.318
_cell_angle_alpha 90.00
_cell_angle_beta 90.00
_cell_angle_gamma 90.00
_space_group_name_H-M_alt 'P m m a'
_space_group_IT_number 51
_space_group_name_Hall '-P 2a 2a'
loop_
_atom_site_label
_atom_site_type_symbol
_atom_site_fract_x
_atom_site_fract_y
_atom_site_fract_z
Ce1 Ce 0.000 0.000 0.000
Sm1 Sm 0.250 0.500 0.159
Y1 Y 0.250 0.289 0.674
Tm1 Tm 0.250 0.000 0.382
```

The 8 most intense peaks (10° ≤ 2θ ≤ 80°), by angle:
2θ 23.2, 3.839 Å, I = 29; 2θ 27.0, 3.303 Å, I = 27; 2θ 30.4, 2.938 Å, I = 100; 2θ 30.6, 2.920 Å, I = 22; 2θ 31.1, 2.875 Å, I = 74; 2θ 35.1, 2.558 Å, I = 58; 2θ 48.9, 1.861 Å, I = 29; 2θ 54.3, 1.689 Å, I = 22

Entry 3:
For NpH5Ir, a PBE-relaxed structure gives the theoretical powder XRD pattern in this record (Cu Ka).

Crystal structure
```
data_NpH5Ir
_cell_length_a 3.926
_cell_length_b 4.723
_cell_length_c 6.660
_cell_angle_alpha 90.00
_cell_angle_beta 90.00
_cell_angle_gamma 90.00
_space_group_name_H-M_alt 'I m m m'
_space_group_IT_number 71
_space_group_name_Hall '-I 2 2'
loop_
_atom_site_label
_atom_site_type_symbol
_atom_site_fract_x
_atom_site_fract_y
_atom_site_fract_z
Np1 Np 0.000 0.000 0.000
H1 H 0.000 0.264 0.328
H2 H 0.000 0.500 0.000
Ir1 Ir 0.000 0.000 0.500
```

The 8 most intense peaks (10° ≤ 2θ ≤ 80°), by angle:
2θ 26.8, 3.330 Å, I = 64; 2θ 29.6, 3.019 Å, I = 100; 2θ 38.1, 2.361 Å, I = 26; 2θ 40.3, 2.237 Å, I = 89; 2θ 47.2, 1.926 Å, I = 29; 2θ 54.2, 1.691 Å, I = 19; 2θ 63.8, 1.458 Å, I = 24; 2θ 68.2, 1.375 Å, I = 20

Entry 4:
For Rb5S2, a PBE-relaxed structure gives the theoretical powder XRD pattern in this record (Cu Ka).

Crystal structure
```
data_Rb5S2
_cell_length_a 17.842
_cell_length_b 7.966
_cell_length_c 8.703
_cell_angle_alpha 90.00
_cell_angle_beta 95.42
_cell_angle_gamma 90.00
_space_group_name_H-M_alt 'C 1 2/c 1'
_space_group_IT_number 15
_space_group_name_Hall '-C 2yc'
loop_
_atom_site_label
_atom_site_type_symbol
_atom_site_fract_x
_atom_site_fract_y
Back to the entry >

“If there are no improvements to this offer and we do not resolve this issue, Rialto Beach will be closed next year,” Jaime said. “Rialto Beach is very important to the park. It’s very pristine -- a very beautiful piece of property.”

Calculated crystals from another source follow =
=====
For K4LiHg4, a PBE-relaxed structure gives the theoretical powder X-ray diffraction pattern in this record (copper Kα).
Peak positions follow from Bragg's law for the DFT cell and can differ from measured ones.

Main lines, low angle first (5° ≤ 2θ ≤ 70°):
- d 8.717, rel. 100
- d 3.992, rel. 16
- d 3.176, rel. 45
- d 3.128, rel. 77
- d 2.984, rel. 27
- d 2.440, rel. 37
- d 2.246, rel. 15
- d 2.176, rel. 14
- d 1.824, rel. 22
- d 1.652, rel. 15

Crystal structure
a b c (Å): 9.806 9.806 9.806
angles (deg): 142.20 142.20 54.52
Fractional positions:
K 0.104 0.104 0.521
K 0.416 0.896 0.000
K 0.584 0.584 0.479
K 0.896 0.416 0.000
Li 0.500 0.500 0.000
Hg 0.165 0.738 0.000
Hg 0.262 0.262 0.427
Hg 0.738 0.165 0.000
Hg 0.835 0.835 0.573
=====

Laitner agreed, but said that while closing the beach would be inconvenient for park visitors, it would also be “devastating to the local economy” of the tribe.

“I don’t think the tribe wants that,” he said.

The park also is set to negotiate with another nearby tribe that wants to move housing out of the tsunami zone.

Larry Burtness, the planner and grant writer for the Hoh Tribe, about 30 miles south, said that tribe wanted to move the 130 members who lived in the flood zone of the 440-acre reservation to higher ground.

He said they hadn’t begun formal negotiations with the park service for about 20 acres of parkland. They also are seeking to negotiate with the state and private business for additional land in the area.


The last time a tsunami hit the area was 1964, when a quake in Alaska generated waves that caused damage in southeastern Alaska, on Vancouver Island, Canada, and in Washington, Oregon, California and Hawaii.

“The concern is very real,” Burtness said, adding that the reservation flooded earlier this month from heavy rains.

Jaime said that if a tsunami warning were issued for the coast, people would have just minutes to travel nearly a mile down the only road out of the reservation.

In October, the Quileute Tribe had a reservation-wide tsunami drill with a complete evacuation of the lower village, getting everyone to high ground in nine minutes -- the amount of time tribal leaders have determined is necessary to prevent loss of life.

“What I fear the most is at 3 o’clock in the morning, when we are all sleeping and not prepared,” Jaime said. “Our exercises, our drills -- they’re structured, they’re choreographed. It’s the real event that’s going to be unpredictable.”

Any change in the boundary would have to be approved by Congress, but the dean of the state’s congressional delegation, Democratic Rep. Norm Dicks, said he worried that if the tribe didn’t accept the current offer, they may end up with nothing.


“We’re all concerned about the safety of the tribe and the possibility of a tsunami,” he said. The tribe has “to realize that they are running a risk by not accepting this offer.”

But Jaime said that the land exchange was the only fair deal that could be made, noting that the tribe lost most of its land more than a century ago, and didn’t want to lose any more.

“We ceded 90 square miles of property to the federal government, now we have just one square mile,” he said.

But Jaime said they were not using the tsunami concern to make a random land grab.

“It’s the complete reverse. We’re trying to prevent the park from taking over our land,” he said. “It’s not a tribal land grab. It’s the national park that’s been grabbing our land. If Rialto Beach is something that they need, and they want, then we should be compensated in equal value.”
